Sarkozy in grand battle to survive

The piece is interrupted by calculated molecules:
Entry 1:
{
  "formula": "C3H28N2O11",
  "method": "ωB97M-V with the def2-TZVPD basis set",
  "smiles": "C[C@@H](N)C(N)=O.O.O.O.O.O.O.O.O.O.O",
  "gap_ev": 10.434,
  "lumo_ev": 0.43,
  "e_homo_ev": -10.005,
  "relative_energy_ev": 0.000,
  "largest_force_ev_per_a": 2.4,
  "elements": ["C", "C", "N", "C", "N", "O", "H", "H", "H", "H", "H", "H", "H", "H", "O", "H", "H", "O", "H", "H", "O", "H", "H", "O", "H", "H", "O", "H", "H", "O", "H", "H", "O", "H", "H", "O", "H", "H", "O", "H", "H", "O", "H", "H"],
  "xyz": [[-1.28006, 2.35944, -1.08872], [-1.06389, 1.40467, 0.07009], [-0.57669, 0.08393, -0.35277], [0.06023, 1.90626, 1.00560], [0.16902, 1.30007, 2.21119], [0.85483, 2.76667, 0.65971], [-0.31396, 2.42517, -1.70657], [-1.53406, 3.35132, -0.77944], [-2.07739, 2.04775, -1.73255], [-2.04545, 1.30780, 0.65390], [-0.79735, -0.09425, -1.29657], [-0.92993, -0.66252, 0.23672], [0.91660, 1.62643, 2.82418], [-0.42373, 0.53296, 2.48297], [2.26216, -0.43251, -0.39829], [1.31055, -0.16393, -0.26348], [2.81504, 0.37064, -0.14596], [-0.72342, -1.77575, -2.91737], [-0.86493, -2.56700, -3.47636], [0.28781, -1.62494, -2.86396], [-1.54195, -1.06765, 2.71939], [-1.07257, -1.88033, 2.31768], [-1.67429, -1.36627, 3.64882], [0.31806, 4.95072, -0.82898], [0.51418, 4.14465, -0.30333], [0.60852, 5.67689, -0.29474], [2.21690, -2.62108, 1.14676], [2.27346, -1.77111, 0.59451], [2.66357, -3.23643, 0.60268], [1.92754, -1.36127, -2.90231], [2.19441, -0.63192, -3.44620], [2.07157, -1.01709, -2.00855], [3.37249, 1.84529, 0.48292], [3.78342, 2.39606, -0.15291], [2.47901, 2.23166, 0.70300], [-3.30452, -1.12885, 0.68903], [-4.08421, -1.56608, 0.92154], [-2.79984, -1.05910, 1.51874], [-1.70465, -2.83278, -0.65635], [-2.36298, -2.25379, -0.32887], [-1.34945, -2.44401, -1.50042], [-0.37107, -3.07699, 1.67342], [0.57586, -2.95294, 1.52518], [-0.77887, -3.13981, 0.75663]],
  "nbo_charge": [-0.63, -0.14, -0.87, 0.72, -0.81, -0.72, 0.22, 0.25, 0.22, 0.21, 0.39, 0.39, 0.40, 0.44, -1.05, 0.51, 0.52, -1.01, 0.49, 0.51, -1.04, 0.51, 0.49, -0.98, 0.49, 0.46, -0.99, 0.51, 0.47, -0.96, 0.48, 0.51, -0.97, 0.48, 0.51, -0.98, 0.47, 0.50, -1.02, 0.49, 0.50, -1.01, 0.51, 0.51]
}

=====

Entry 2:
{
  "formula": "C3H29N2O13",
  "method": "ωB97M-V with the def2-TZVPD basis set",
  "gap_ev": [10.876, 6.191],
  "lumo_ev": [-0.05, -4.58],
  "e_homo_ev": [-10.926, -10.775],
  "largest_force_ev_per_a": 1.9,
  "multiplicity": 2,
  "elements": ["C", "N", "C", "O", "O", "C", "N", "H", "H", "H", "H", "H", "H", "H", "H", "H", "O", "H", "H", "O", "H", "H", "O", "H", "H", "O", "H", "H", "O", "H", "H", "O", "H", "H", "O", "H", "H", "O", "H", "H", "O", "H", "H", "O", "H", "H", "O"],
The calculated molecules stop here:

6 min read

Anthony Peters, SwissInvest Strategist

Kay seems to agree with most of the rest of the world that it is a choice between the unpopular and the unpalatable although he does, as always, find a far more erudite way of expressing it.

Sarko is on his back foot which – no disrespect to either him of the French electorate – is where he would evidently be. Since the beginning of the financial crisis, governments in Greece, Portugal, Ireland, Spain, Belgium, the UK and, in a lesser way and not electorally, in Italy and the Netherlands have fallen, irrespective of whether they were of the left or of the right. Sweeping out incumbents is the only way in which voters in parliamentary democracies can legitimately express their dissatisfaction with the position in which they find themselves and for which they rightly blame the politicians who are quick to take credit when things work well, but who can’t be seen for dust when they don’t.

<<<
1.
The following is a DFT calculation (the ωB97M-V functional and the def2-TZVPD basis) of a cluster of 2 separate species, C21H23N2 in total at a distorted geometry.

XYZ file:
```
46
Properties=species:S:1:pos:R:3:forces:R:3:lowdin_charge:R:1
C 5.8821 -2.0147 -1.4297 0.2 -0.2 0.0 -0.039
C 4.5663 -1.3113 -1.2796 0.1 0.0 0.0 -0.244
C 4.5236 0.0867 -1.1741 -0.2 0.1 -0.1 -0.017
C 3.3167 0.7354 -0.9747 -0.2 -0.1 0.1 0.004
C 2.1095 0.0038 -0.8985 0.6 -0.8 -0.1 -0.210
C 0.8625 0.6805 -0.7798 -0.1 0.7 -1.2 0.007
C -0.3293 0.0828 -1.1675 -0.6 0.0 0.1 -0.067
C -1.5586 0.7206 -1.0483 1.0 -0.3 -0.1 0.047
C -2.7975 0.0388 -1.2005 -0.9 -0.4 -0.4 -0.212
C -4.0160 0.7671 -1.2896 0.4 -0.3 0.2 0.003
C -5.2245 0.0974 -1.3727 0.1 0.1 0.0 -0.020
C -5.2652 -1.3048 -1.3833 0.2 0.2 0.0 -0.246
C -6.5804 -2.0049 -1.4247 -0.3 -0.3 0.0 -0.039
C -4.0673 -2.0361 -1.3439 0.1 0.1 0.0 -0.016
C -2.8511 -1.3842 -1.2648 0.0 0.4 0.1 0.004
C 2.1667 -1.4156 -1.0349 -0.1 0.4 0.0 0.005
C 3.3783 -2.0551 -1.2243 -0.1 0.1 0.0 -0.019
H 5.7277 -3.0998 -1.4635 0.2 0.3 0.0 0.082
H 6.4196 -1.7135 -2.3407 -0.2 0.0 0.2 0.096
H 6.5349 -1.7779 -0.5768 -0.2 -0.1 -0.2 0.097
H 5.4482 0.6619 -1.2691 -0.3 -0.2 0.1 0.128
H 3.2597 1.8228 -0.9042 0.1 -0.3 0.0 0.121
H 0.8527 1.7433 -0.5337 0.1 -0.6 -0.4 0.104
H -0.2912 -0.9158 -1.6132 -0.1 0.4 0.5 0.102
H -1.5661 1.7914 -0.8256 -0.1 -0.3 0.1 0.140
H -3.9707 1.8567 -1.2910 -0.1 -0.3 0.1 0.123
H -6.1641 0.6549 -1.4155 0.3 -0.2 0.0 0.128
H -6.4396 -3.0896 -1.4308 -0.1 0.2 0.0 0.083
H -7.1936 -1.7419 -0.5524 0.2 0.0 -0.2 0.098
H -7.1562 -1.7198 -2.3147 0.2 -0.1 0.2 0.098
H -4.1073 -3.1295 -1.3594 0.0 0.4 0.0 0.124
H -1.9234 -1.9624 -1.2276 -0.5 0.2 0.1 0.112
H 1.2459 -2.0071 -0.9994 0.5 0.2 0.1 0.113
H 3.4186 -3.1427 -1.3482 0.0 0.5 0.1 0.124
C 0.5127 1.8129 5.0606 -0.1 -0.1 0.3 -0.021
N 0.8849 2.0590 3.6790 0.1 0.0 -0.9 -0.135
C 0.5675 1.2597 2.6018 0.7 1.5 0.6 -0.131
N 1.0549 1.7827 1.4914 -0.2 -0.2 0.8 0.012
C 1.7155 2.9464 1.8297 -0.5 -0.6 1.0 -0.124
C 1.6174 3.1338 3.1934 -0.4 -0.8 -0.7 -0.050
H 0.8880 2.6336 5.6785 -0.1 -0.2 -0.1 0.095
H -0.5776 1.7500 5.1684 0.3 0.1 -0.1 0.096
H 0.9382 0.8671 5.4190 0.0 0.3 -0.1 0.096
H -0.0102 0.3492 2.7242 0.2 0.2 -0.2 0.134
H 2.2048 3.5661 1.0933 0.0 0.0 0.1 0.098
H 1.9933 3.9219 3.8177 0.0 0.0 0.2 0.116
```
Positions in Å, forces in eV/Å.

Values from the calculation:
- Total charge: +1
- Frontier orbital gap: 6.551 eV
- Maximum force: 1.74 eV Å⁻¹
- E_tot: -25123.381 eV

2.
The following is a DFT calculation (the ωB97M-V functional and the def2-TZVPD basis) of the ion C21H23N2O with charge +1 at a distorted geometry.

XYZ file:
```
47
Properties=species:S:1:pos:R:3:forces:R:3:lowdin_charge:R:1
N 2.5788 -3.4585 1.7234 0.4 0.7 0.2 0.007
C 2.3644 -2.0596 1.2812 0.1 0.0 -0.4 -0.270
C 1.0663 -1.9355 0.4071 0.7 -0.4 0.2 -0.167
C 1.4823 -1.9356 -1.0758 -0.2 0.2 -0.3 -0.155
C 2.2131 -0.6163 -1.5500 0.5 -0.7 0.3 -0.088
C 1.9922 0.6079 -0.6808 -0.1 0.2 -0.1 -0.103
N 3.0279 0.9015 0.1009 0.2 0.0 0.1 0.132
>>>

However, Kay does raise one particular point which had so far escaped me – Sarkozy’s great selling point five years ago was that he was not one of the elite establishment which controls France with an iron fist. He is the outsider, the maverick who made it to the top without the benefit of having attended one of the Grands Ecoles; he is not an enarque. However, Hollande is a graduate of both SciencePol and ENA, and hence a prime exponent of the closed society which pulls all the strings in politics, public administration and the large industries.

The question might therefore be asked as to whether the people of France are simply going to vote out Sarko – assuming that they do – or whether they are consciously looking to place their collective fates back in the hands of one of the shamelessly corporatist establishment figures?

French political culture is so different to what we are used to in the UK. Although a Cameron might campaign for his “Big Society”, voters care more about the price of beer and the cost of prescriptions. On the other hand, when Sarko appeared at a rally in front of tens of thousands against the backdrop of the Eiffel Tower in Paris yesterday, promising to fight until the last minute, he demanded confirmation that the people of France wanted their “grand projects”.

Roll out the old chestnut that liberty, equality and fraternity are all well and good but that equality and fraternity are in practice mutually exclusive

Of course they do. France lives by its grand projects, the visible and affirming signs of Gallic success in a world which seems to be dominated by the perfidious Anglo-Saxons and, though never voiced, the even more perfidious “Boches”. France’s political culture has always been one of ideology over practicality.

As far back as the Revolution of 1789, ideological purity has played a greater role, rhetorically at least, than nuts and bolts politics. Roll out the old chestnut that liberty, equality and fraternity are all well and good but that equality and fraternity are in practice mutually exclusive.

Franco-German future?

If French politics is all about grand gestures, then where does it leave the future relationship with Germany which appears to be all about micro-managing the eurozone? Mutti Merkel has to face her own electorate next year when questions will be asked to her too. That there would be closer ideological ties between a putative left-wing French President and a possible (but not likely) left-of-centre German federal government I find hard to believe.

Alas, as far as Sarkozy is concerned, all is still to play for as he looks to the TV debate to refloat his sinking electoral ship. All that remains is to add that in the past, polls have shown no change either side of Presidential debates on the telly and Sarko needs a miracle if he is not to be packing up his record collection on Sunday night.

........
Entry 1:
The following is a quantum chemistry calculation of a molecular structure, C28H30Cl2FIrNO2S4, from the OMol25 dataset.

## Properties
Electronic energy (eV): -109045.849
HOMO energy (eV): -9.9945
Molar mass (g mol⁻¹): 822.9
Maximum force (eV Å⁻¹): 0.6
Gap between HOMO and LUMO (eV): 7.0

ORCA input file:
```
! RIJCOSX wB97M-V def2-TZVPD def2/J DEFGRID3
* xyz 1 1
Ir 1.0030 0.3306 -0.8210
C 2.4840 3.0782 -0.0033
C 1.1078 3.5629 -0.4167
S 0.3494 2.5999 -1.7512
C 1.1754 3.1489 -3.2640
C 2.5731 2.6068 -3.5418
S 2.6355 0.8138 -3.3093
C 4.4111 0.6055 -3.0570
C 4.6939 -0.8062 -2.5373
S 3.6851 -1.3310 -1.1358
C 4.4801 -0.5186 0.2696
C 4.1807 0.9691 0.4596
S 2.4084 1.3705 0.6271
H 2.9027 3.7027 0.7868
H 3.1662 3.0890 -0.8519
H 1.1482 4.6128 -0.7087
H 0.3949 3.4783 0.4064
H 1.1859 4.2394 -3.2668
H 0.4872 2.8363 -4.0508
H 3.3173 3.0748 -2.8973
H 2.8374 2.8478 -4.5719
H 4.7564 1.3690 -2.3600
H 4.9349 0.7546 -4.0015
H 5.7544 -0.9194 -2.3098
H 4.4553 -1.5343 -3.3144
H 5.5596 -0.6419 0.1683
H 4.1728 -1.0949 1.1412
H 4.5811 1.5510 -0.3677
H 4.6417 1.3285 1.3810
F 0.9286 -5.1660 1.9996
C 0.9674 -3.9651 1.3919
C 1.4324 -2.8749 2.0960
C 1.4578 -1.6378 1.4638
C 1.0429 -1.4802 0.1412
C 0.5636 -2.6100 -0.5252
C 0.5242 -3.8540 0.0906
H 1.7514 -2.9931 3.1234
H 1.7782 -0.7850 2.0519
H 0.2268 -2.5394 -1.5516
H 0.1571 -4.7287 -0.4292
Cl -2.4282 0.1800 3.2236
C -2.7919 -1.4429 2.7234
C -1.9105 -2.4418 3.1062
C -2.1861 -3.7674 2.8267
C -3.3570 -4.0913 2.1600
C -4.2120 -3.0874 1.7526
Cl -5.6578 -3.5181 0.8891
C -3.9618 -1.7259 2.0024
N -4.8623 -0.7767 1.5564
C -4.6043 0.5450 1.1225
C -5.3885 1.5717 1.6402
C -5.1991 2.8804 1.2363
C -4.2046 3.1813 0.3168
C -3.4331 2.1602 -0.2109
C -3.6316 0.8351 0.1621
C -2.8565 -0.2648 -0.5223
C -1.4234 0.0455 -0.7536
O -0.7781 -0.3086 -1.7803
O -0.7164 0.6244 0.1536
H -1.0188 -2.1606 3.6488
H -1.5023 -4.5443 3.1382
H -3.6107 -5.1187 1.9396
H -5.7939 -1.1201 1.3889
H -6.1327 1.3280 2.3874
H -5.8156 3.6659 1.6522
H -4.0422 4.2033 0.0011
H -2.6786 2.3956 -0.9544
H -3.3117 -0.5763 -1.4636
H -2.8043 -1.1617 0.1029
*
```

***

Entry 2:
The following is a quantum chemistry calculation of a molecular structure, C40H11Cl5F15GeN3ORuS, from the OMol25 dataset.

## Properties
Electronic energy (eV): -221481.003
HOMO energy (eV): -8.2261
Molar mass (g mol⁻¹): 1217.5
Maximum force (eV Å⁻¹): 0.7
Gap between HOMO and LUMO (eV): 6.2

ORCA input file:
```
! RIJCOSX wB97M-V def2-TZVPD def2/J DEFGRID3
* xyz 0 1
Ru 1.3058 -1.4198 0.3024
O 1.4841 -1.6671 2.3503
C 0.8582 -2.4460 3.1629
C 1.0955 -2.3149 4.5561
C 0.4790 -3.1360 5.4570
C -0.4238 -4.1291 5.0330
C -0.6791 -4.2674 3.6971
C -0.0528 -3.4437 2.7343
C -0.3580 -3.6308 1.3362
N -0.0283 -2.8730 0.2654
C -0.5987 -3.4672 -0.8625
C -1.2713 -4.5630 -0.4784
N -1.1120 -4.6538 0.8905
H 1.7852 -1.5431 4.8691
H 0.6825 -3.0161 6.5137
H -0.9160 -4.7685 5.7514
H -1.3965 -5.0209 3.3948
H -0.4807 -3.0475 -1.8413
H -1.8436 -5.2778 -1.0397
H -1.4982 -5.3697 1.4790
N 0.8818 -1.1896 -7.1641
C 0.9667 -1.2111 -6.0181
........

Meanwhile, I dined last night with a gentleman and a scholar I have known for many years. He sold up and walked away from the City almost 25 years ago and in doing so escaped the Crash of ’87 by six weeks. A fool he is not. As a humanist and a humanitarian, I know few better.

Anyhow, we talked about the City, about markets and about the culture of greed which has made a business which used to be fun nothing more than a race at all costs to meet ever-increasing financial targets. We spoke of the way in which the rich keep on becoming richer. Then something strange happened.

I commented that those less fortunate than ourselves and who are deeply affected by the austerity measures are still infinitely better off than they would have been without austerity in the 80s and that the disadvantaged of then would have taken the lot of the following generation all day long without any complaints.

At this point my friend commented “So not only have the rich been getting richer, the poor have been getting richer too……” Frankly, I believe that he might well be have a point there.